River Table Epoxy Edge

River Table

By silviodc, 29 September 2020

## Between two parts of the entry: calculated crystals
........
Model a:
{"formula": "AcLaYAg", "functional": "PBE", "state": "relaxed", "cell": [[0.0000, 4.0098, 4.0098], [4.0098, 0.0000, 4.0098], [4.0098, 4.0098, 0.0000]], "species": ["Ac", "La", "Y", "Ag"], "fractional_positions": [[0.0000, 0.0000, 0.0000], [0.7500, 0.7500, 0.7500], [0.2500, 0.2500, 0.2500], [0.5000, 0.5000, 0.5000]], "crystal_system": "cubic", "rho_g_cm3": 7.246, "dos_at_fermi_per_ev_cell": 7.8}



Model b:
{"formula": "AcLaYAg", "functional": "PBE", "state": "relaxed", "cell": [[3.7823, 0.0000, 0.0000], [0.0000, 3.7823, 0.0000], [0.0000, 0.0000, 9.0806]], "species": ["Ac", "La", "Y", "Ag"], "fractional_positions": [[0.0000, 0.0000, 0.0000], [0.5000, 0.5000, 0.6948], [0.5000, 0.5000, 0.2929], [0.0000, 0.0000, 0.4726]], "crystal_system": "tetragonal", "rho_g_cm3": 7.193, "dos_at_fermi_per_ev_cell": 5.3}



Which one sits at the bottom of the stability order? model a does.



Model a:
{"formula": "LiAc2Ag5", "functional": "PBE", "state": "relaxed", "cell": [[2.3857, -8.6222, 0.0000], [2.3857, 8.6222, 0.0000], [0.0000, 0.0000, 9.8149]], "species": ["Li", "Li", "Ac", "Ac", "Ac", "Ac", "Ag", "Ag", "Ag", "Ag", "Ag", "Ag", "Ag", "Ag", "Ag", "Ag"], "fractional_positions": [[0.0593, 0.9407, 0.7500], [0.9407, 0.0593, 0.2500], [0.2876, 0.7124, 0.2500], [0.5000, 0.5000, 0.0000], [0.5000, 0.5000, 0.5000], [0.7124, 0.2876, 0.7500], [0.0917, 0.9083, 0.2500], [0.1473, 0.8527, 0.5313], [0.1473, 0.8527, 0.9687], [0.3192, 0.6808, 0.6066], [0.3192, 0.6808, 0.8934], [0.6808, 0.3192, 0.1066], [0.6808, 0.3192, 0.3934], [0.8527, 0.1473, 0.0313], [0.8527, 0.1473, 0.4687], [0.9083, 0.0917, 0.7500]], "crystal_system": "orthorhombic", "rho_g_cm3": 8.227, "dos_at_fermi_per_ev_cell": 9.0}



Model b:
{"formula": "LiAc2Ag5", "functional": "PBE", "state": "relaxed", "cell": [[-3.4109, 3.4109, 4.5883], [3.4109, -3.4109, 4.5883], [3.4109, 3.4109, -4.5883]], "species": ["Li", "Ac", "Ac", "Ag", "Ag", "Ag", "Ag", "Ag"], "fractional_positions": [[0.0000, 0.0000, 0.0000], [0.2668, 0.7668, 0.5000], [0.7668, 0.2668, 0.5000], [0.2909, 0.2909, 0.0000], [0.3083, 0.3083, 0.5746], [0.3083, 0.7337, 0.0000], [0.7337, 0.3083, 0.0000], [0.7337, 0.7337, 0.4254]], "crystal_system": "tetragonal", "rho_g_cm3": 7.779, "dos_at_fermi_per_ev_cell": 4.5}



Which one sits at the bottom of the stability order? model b does.

~~~~~

1.
Density functional theory data (PBE) for an optimized crystal structure of TbTm2In.

Lattice parameters (Å, degrees): 11.9889 11.9889 11.9889 16.52 16.52 16.52
Positions (direct):
Tb 0.0000 0.0000 0.0000
Tm 0.0956 0.0956 0.0956
Tm 0.9044 0.9044 0.9044
In 0.5000 0.5000 0.5000

## Properties
ΔH_f (0 K) in eV per formula unit: 0.3
Space group: R-3m
Excess energy over the best structure of this formula in the dataset in meV/atom: 346.3
VASP energy in eV/cell: -15.97



2.
Density functional theory data (PBE) for an optimized crystal structure of Tb9Tm4In11.

Lattice parameters (Å, degrees): 13.7614 13.7614 3.4613 90.00 90.00 99.65
Positions (direct):
........

If you have spent some time on the world wide web, you most probably have seen at least one rivertable. They look simply amazing and the natural beauty of fluid dynamics, frozen in time is simply astonishing. The output depends mostly on chaos, where only some input variables can be tweaked. This was love on first sight and I knew that I definitely have to build some of that on my own.

Since a dining table is to big as a beginner project and I am lacking the tools and the workshop, I decided to make a smaller sized table, with still enough space for two people to comfortably eat on it, which is still small enough to build it in my kitchen. (Stupid idea, I know… now xD)

# These calculated crystals were left in the entry by mistake
********
Entry 1:
A plane-wave DFT calculation with PBE was carried out for a relaxed SrNbCu crystal.

```
data_SrNbCu
_symmetry_space_group_name_H-M 'P 1 m 1'
_symmetry_Int_Tables_number 6
_symmetry_space_group_name_Hall 'P -2y'
_cell_length_a 4.2092
_cell_length_b 4.2993
_cell_length_c 8.3614
_cell_angle_alpha 90.00
_cell_angle_beta 90.91
_cell_angle_gamma 90.00
loop_
_atom_site_label
_atom_site_fract_x
_atom_site_fract_y
_atom_site_fract_z
Sr1 0.0000 0.0000 0.0000
Sr2 0.4936 0.5000 0.6678
Nb1 0.0398 0.5000 0.3139
Nb2 0.9790 0.0000 0.4911
Cu1 0.4911 0.0000 0.3082
Cu2 0.5258 0.5000 0.1215
```



Entry 2:
A plane-wave DFT calculation with PBE was carried out for a relaxed SrNbCu crystal.

```
data_SrNbCu
_symmetry_space_group_name_H-M 'C m c m'
_symmetry_Int_Tables_number 63
_symmetry_space_group_name_Hall '-C 2c 2'
_cell_length_a 4.3287
_cell_length_b 10.7366
_cell_length_c 6.0047
_cell_angle_alpha 90.00
_cell_angle_beta 90.00
_cell_angle_gamma 90.00
loop_
_atom_site_label
_atom_site_fract_x
_atom_site_fract_y
_atom_site_fract_z
Sr1 0.0000 0.0000 0.0000
Nb1 0.0000 0.2842 0.2500
Cu1 0.0000 0.3236 0.7500
```



Entry 3:
A plane-wave DFT calculation with PBE was carried out for a relaxed SrNbCu crystal.

```
data_SrNbCu
_symmetry_space_group_name_H-M 'P 1'
_symmetry_Int_Tables_number 1
_symmetry_space_group_name_Hall 'P 1'
_cell_length_a 3.4971
_cell_length_b 6.1054
_cell_length_c 7.6553
_cell_angle_alpha 112.16
_cell_angle_beta 103.04
_cell_angle_gamma 90.40
loop_
_atom_site_label
_atom_site_fract_x
_atom_site_fract_y
_atom_site_fract_z
Sr1 0.0000 0.0000 0.0000
Sr2 0.3599 0.3670 0.7193
Nb1 0.2643 0.7860 0.5261
Nb2 0.6704 0.4589 0.3410
Cu1 0.0676 0.5839 0.1297
Cu2 0.6796 0.9797 0.3542
```



Entry 4:
A plane-wave DFT calculation with PBE was carried out for a relaxed SrNbCu crystal.

```
data_SrNbCu
_symmetry_space_group_name_H-M 'F -4 3 m'
_symmetry_Int_Tables_number 216
_symmetry_space_group_name_Hall 'F -4 2 3'
_cell_length_a 7.1538
_cell_length_b 7.1538
_cell_length_c 7.1538
_cell_angle_alpha 90.00
_cell_angle_beta 90.00
_cell_angle_gamma 90.00
loop_
_atom_site_label
_atom_site_fract_x
_atom_site_fract_y
_atom_site_fract_z
Sr1 0.0000 0.0000 0.0000
Nb1 0.2500 0.2500 0.7500
Cu1 0.2500 0.2500 0.2500
```



Entry 5:
A plane-wave DFT calculation with PBE was carried out for a relaxed SrNbCu crystal.

```
data_SrNbCu
_symmetry_space_group_name_H-M 'P 63/m m c'
_symmetry_Int_Tables_number 194
_symmetry_space_group_name_Hall '-P 6c 2c'
_cell_length_a 4.7828
_cell_length_b 4.7828
_cell_length_c 12.9015
_cell_angle_alpha 90.00
_cell_angle_beta 90.00
_cell_angle_gamma 120.00
loop_
_atom_site_label
_atom_site_fract_x
_atom_site_fract_y
_atom_site_fract_z
Sr1 0.0000 0.0000 0.2500
Nb1 0.0000 0.0000 0.0000
Cu1 0.3333 0.6667 0.2500
```



Entry 6:
A plane-wave DFT calculation with PBE was carried out for a relaxed SrNb3Cu crystal.

```
data_SrNb3Cu
_symmetry_space_group_name_H-M 'P m -3 m'
_symmetry_Int_Tables_number 221
_symmetry_space_group_name_Hall '-P 4 2 3'
********
# Here the entry continues

So I bought a beautiful slab of oak, cut a rivershape through the middle and built a 800*400mm cast. Since the slab was not perfectly rectangular, I had plenty of space on the front for a epoxy edge and got rid of the bark on that side for better strength.

my kitchen workbench

Since I have seen so many videos where the epoxy was leaking out of the form I got a little paranoid and screwed the sides with lots of screws to the base plate, used silicone over the gaps, and finished my anti leak procedure with a layer of duct tape. And I was right with my precaution!
The slab of oak was exactly the size of the base plate and I had to push it in with force, therefore widening the gap a little bit.

In below picture you see my mold from below. It is clearly visible where the duct tape was placed, and on the bottom right you see where it spilled out. But with all the obstacles in its way, the Epoxy blocked itself while drying and only a single droplet made it to the (covered) floor. Focus on the sealing of your mold, especially if you also pour the Epoxy on a side of the mold.

Epoxy leak o.0

While pouring the epoxy I made two devastating observations:

  • Since the front is not symmetrical, and the cast is only placed on a not so stable chair, the weight distribution started to tilt the cast to one side
  • Since the epoxy edge design came as a surprise, I did not have enough epoxy to fill both rivers to the top
The freshly poured table

The first issue was quickly fixed with some weights and a level. The second issue even increased, when the epoxy started flowing below the oak, despite my efforts in clamping it down. So there was this huge height gap remaining:

That’s more than 5mm!

No way I can sand this down that much!

After checking how the famous youtubers handle such issues, I decided that I have neither the space, nor the money for a professional planer. But there are also handheld planers, which are much more reasonable in price and size. But when researching the infinite knowledge of the world wide web, I only found discouragement for using them in combination with epoxy. People claimed that it will heat up the resin to much and will burn/destroy the surface as well as the planer.

So after having lots of fun, destroying the cast and breaking the table out of it, i started searching for the right planer.

I was lucky, finding the Bosch PHO 2000 as a deal for under 60€ at Amazon and decided to give it a try. Since it has a connection for the vacuum cleaner, I expected it to work in my kitchen, and I was honestly amazed how little dust came out, while chopping 2 mm at once away.

2 mm at rather quick speed still leaves a good surface

…for around 50 seconds, before the vacuum got stuck from to much wood and it started throwing chips against the opposite room wall o.0. So if you do not have a workshop graded vacuum cleaner, don’t bother trying it and just sweep it up afterwards.

But from manufacturing perspective, I was more than happy about the planer and it worked super fast, precise and left me with an already very smooth surface. It even has guides to create a mitre, which I happily did, since I originally planed to do with a jigsaw, which would have been much more work.

The shini part is where I did not touch the surface after pouring, and on the right side I went over with the electric planer (the hole in the front is probably from trapped air and was there before planing)

The main downside of taking so much wood away, was that I also took of most of the fillings.

sadly I even had to go lower than on the left side and had to watch the shrinking of the beautiful fillings with each passage of the planer
ending with lots of chips

Finally I had a nice and smooth surface and this time I went out in the garden before grinding the table. I started with a 40 grid to grind the whole plate and increased the smoothness step by step. At 300 I starting wetting the epoxy and went up to 800. The epoxy still had a haze, but when wetted, it looked amazing. So I hoped oil will keep this effect forever, which it did:

finished top plate, the legs are still in delivery
River Table Epoxy Edge

This was a really amazing project where I had lots of fun and learned so much about woodworking! I really can recommend this to everybody to try it out yourself! You can do it, you don’t even need a workshop 😉

And since you went trough so much text, you deserve a video:

btw this is the underside of the table where the epoxy found its way and trapped some air bubbles

Btw the Amazon links are affiliate links 😉